The Air Campaign: Planning for Combat, by John A. Warden III
In August 1990, the first wave of American airmen arrived in the Middle East to shield allies in the region from the territorial ambitions of Iraq’s Saddam Hussein. Kuwait had been overrun, and back home little-known U.S. Air Force Colonel John Warden briefed the head of Central Command and the chairman of the Joint Chiefs of Staff on his vision for the air campaign to repel the invaders from the tiny, oil-rich Persian Gulf state. Generals Norman Schwarzkopf and Colin Powell were both wowed by his presentation.
Warden had risen through the fighter pilot ranks. After graduating from the Air Force Academy, he went to Vietnam and flew 266 combat missions as a forward air controller. He eventually commanded a fighter wing in Germany, where he introduced new tactics.
(Crystal structures that have nothing to do with the piece)
- - -
Density functional theory data (GGA+U) for crystalline CoOsO4 at its relaxed geometry.

The total moment comes out at 1.98 μB/f.u. Its density of states at the Fermi level is 0.5810 states/eV/atom. The total energy is -7.01 eV/atom.

The space group is Pnc2 (No. 30) and the conventional cell measures 5.128, 4.509 and 5.617 Å, with angles of 90.00, 90.00 and 90.00 degrees. The inequivalent atoms are Co at (0.000, 0.000, 0.000), Os at (0.500, 0.000, 0.306), O at (0.186, 0.216, 0.281) and O at (0.349, 0.744, 0.543).
- - -
In 1986, while studying at the National War College in Washington, D.C., Warden wrote his thesis on planning the modern air campaign. His slim treatise was published two years later by the National Defense University Press, with the first commercial printing in 1989. The study was subsequently issued in numerous editions and in six languages.
Warden’s book became an instant sensation when its concepts were successfully put to the test in January-February 1991. The late-20th-century air warfare blueprint that he had laid out in generic form served as the intellectual foundation for the very effective air component of Operation Desert Storm. In just 42 days of air-centric combat, Saddam’s forces were decisively routed.
The page is interrupted by materials data:
'''
Entry 1:
As2HSe: relaxed, PBE.

a b c (Å): 4.546 4.546 4.546
angles (deg): 60.00 60.00 60.00
Fractional positions:
As 0.250 0.250 0.250
Se 0.500 0.500 0.500
H 0.000 0.000 0.000
As 0.750 0.750 0.750

offset from the most stable computed form = 0.2317 eV/atom
DOS at the Fermi energy = 1.33 states/eV per cell
calculated volume = 66.4 Å³ per cell

Entry 2:
AsH3Se: relaxed, PBE.

a b c (Å): 3.751 3.751 3.751
angles (deg): 90.00 90.00 90.00
Fractional positions:
As 0.500 0.500 0.500
H 0.000 0.500 0.000
Se 0.000 0.000 0.000
H 0.000 0.000 0.500
H 0.500 0.000 0.000

offset from the most stable computed form = 0.1817 eV/atom
DOS at the Fermi energy = 1.70 states/eV per cell
calculated volume = 52.8 Å³ per cell

Entry 3:
AsHSe3: relaxed, PBE.

a b c (Å): 4.381 4.381 4.381
angles (deg): 90.00 90.00 90.00
Fractional positions:
H 0.000 0.000 0.000
Se 0.000 0.500 0.000
As 0.500 0.500 0.500
Se 0.500 0.000 0.000
Se 0.000 0.000 0.500

offset from the most stable computed form = 0.7424 eV/atom
DOS at the Fermi energy = 3.04 states/eV per cell
calculated volume = 84.1 Å³ per cell

Entry 4:
AsH3Se: relaxed, PBE.

a b c (Å): 3.726 3.726 3.726
angles (deg): 90.00 90.00 90.00
Fractional positions:
H 0.000 0.500 0.000
H 0.500 0.000 0.000
Se 0.500 0.500 0.500
As 0.000 0.000 0.000
H 0.000 0.000 0.500

offset from the most stable computed form = 0.0000 eV/atom
DOS at the Fermi energy = 3.40 states/eV per cell
calculated volume = 51.7 Å³ per cell

Entry 5:
AsHSe4: relaxed, PBE.

a b c (Å): 5.128 5.075 18.381
angles (deg): 108.80 105.35 89.76
Fractional positions:
Se 0.679 0.976 0.245
Se 0.477 0.694 0.976
Se 0.321 0.024 0.755
H 0.624 0.304 0.599
Se 0.523 0.306 0.024
Se 0.797 0.529 0.594
As 0.037 0.660 0.733
Se 0.203 0.471 0.406
Se 0.023 0.806 0.024
H 0.376 0.696 0.401
As 0.963 0.340 0.267
Se 0.977 0.194 0.976

calculated total energy = -3.533 eV/atom
DOS at the Fermi energy = 0.39 states/eV per cell
calculated volume = 435.0 Å³ per cell

Entry 6:
AsHSe3: relaxed, PBE.

a b c (Å): 6.347 9.054 9.054
angles (deg): 109.78 84.55 84.55
Fractional positions:
Se 0.354 0.458 0.279
Se 0.394 0.129 0.626
Se 0.395 0.783 0.974
H 0.557 0.507 0.338
Se 0.894 0.626 0.129
Se 0.606 0.871 0.374
H 0.943 0.662 0.493
As 0.750 0.240 0.760
Se 0.895 0.974 0.783
As 0.250 0.115 0.885
As 0.250 0.760 0.240
H 0.443 0.493 0.662
Se 0.646 0.542 0.721
Se 0.146 0.721 0.542
As 0.750 0.885 0.115
H 0.057 0.338 0.507
Se 0.105 0.026 0.217
Se 0.605 0.217 0.026
Se 0.106 0.374 0.871
Se 0.854 0.279 0.458

offset from the most stable computed form = 0.0000 eV/atom
DOS at the Fermi energy = 1.71 states/eV per cell
calculated volume = 482.8 Å³ per cell

Entry 7:
AsHSe3: relaxed, PBE.

a b c (Å): 5.090 5.090 5.090
angles (deg): 90.00 90.00 90.00
Site moments in Bohr magnetons follow the coordinates.
Fractional positions:
Se 0.000 0.000 0.500  -0.16
Se 0.000 0.500 0.000  -0.13
Se 0.500 0.000 0.000  -0.16
As 0.000 0.000 0.000  -0.02
H 0.500 0.500 0.500  0.35

offset from the most stable computed form = 0.9085 eV/atom
'''
Warden’s theory contended that the enemy is a system, which needs to be attacked in parallel rather than in serial fashion. A focus on the essential centers of gravity, he posited, would make it possible to defeat an opponent without ever having to deal with its field forces. Instead, an air force could take down command and control nodes to blind opposing forces and throw them into disarray.
Woven into Warden’s text are enduring principles: Air superiority is a prerequisite to victory, and an air war must be fought offensively. His ideas melded with the introduction of such emergent technologies as precision munitions, ubiquitous satellites and multi-spectral stealth to create a winning construct for the times.
Warden has suggested that in “many circumstances” airpower alone can win wars. In the 1990s, events seemed to support his claim—or nearly so. Yet in the years since then the West’s nemeses have increasingly morphed into irregulars, who propagate insurgencies that foster ill-suited pairings and protracted engagements. The plan that worked against conventional forces in Hussein’s day doesn’t have the same applicability against roving bands of fanatical fighters. For the ingenious Warden, whose stature is secure alongside other visionaries such as Giulio Douhet and Billy Mitchell, the challenge today is to map out how airpower can vanquish the West’s frustratingly resilient low-tech enemies.